AIG Price Tag: $1,400 per Taxpayer Family

**Attached: calculated molecules:**
1.
Here is one molecule with the formula C4H9NO from the OMol25 dataset. Energies are from ωB97M-V with the def2-TZVPD basis set.

Structure (XYZ):
```
15
Properties=species:S:1:pos:R:3:forces:R:3:mulliken_charge:R:1
H -0.841 -1.828 -0.422 -0.07 -0.08 0.14 0.39
O -0.844 -0.034 1.743 0.66 -0.30 -0.27 -0.40
H -0.780 -0.843 -1.924 0.17 -0.13 0.64 0.37
C 0.525 -0.236 1.245 -0.54 -0.54 0.67 -0.66
N 0.845 1.075 -0.935 1.22 0.04 -0.16 -0.69
H 0.910 -1.256 1.439 -0.25 0.42 -0.03 0.26
C -0.244 -1.127 -0.991 0.13 0.83 -0.92 -1.68
H -1.101 1.765 0.673 -0.17 -0.27 0.05 0.27
C 0.099 0.119 -0.180 -1.57 -0.27 0.56 1.22
C -1.180 0.671 0.541 1.07 0.46 -0.58 -0.66
H 0.679 -1.599 -1.313 0.19 -0.34 0.02 0.43
H 1.227 1.791 -0.298 -0.22 -0.43 -0.57 0.29
H 1.189 0.501 1.694 0.18 0.13 0.05 0.27
H -2.134 0.414 0.092 -0.25 -0.15 0.16 0.31
H 1.651 0.587 -1.365 -0.54 0.60 0.24 0.27
```
Forces are in eV/Å.

Values from the calculation:
LUMO energy ... 0.98 eV
Gap between HOMO and LUMO ... 10.55 eV
Structure (SMILES) ... CC1(N)COC1
Maximum force ... 1.69 eV/Å
Relative energy (zero: lowest compared OMol25 entry of this formula, charge and spin) ... 45.30 kcal per mole
Spin multiplicity ... 1

2.
Here is a 2-piece molecular cluster, C4H9NO overall from the OMol25 dataset. Energies are from ωB97M-V with the def2-TZVPD basis set.

Structure (XYZ):
```
15
Properties=species:S:1:pos:R:3:forces:R:3:mulliken_charge:R:1
O 1.462 0.864 -0.986 0.19 -0.52 0.78 -0.58
H -2.386 1.289 0.475 -0.58 -0.26 -0.58 0.31
C -1.702 0.912 -0.294 -0.86 -1.87 -0.63 -0.46
H -0.799 0.663 0.267 0.24 0.30 0.05 0.06
H 0.738 -1.980 0.718 -0.34 1.25 -1.14 0.25
C 2.034 0.229 1.254 -0.30 2.29 -1.35 -0.68
N -2.041 -0.229 -1.209 -2.04 1.83 1.29 -0.45
H -3.152 -0.381 -1.253 2.91 0.34 0.64 0.24
C 1.406 0.055 -0.044 0.16 -0.75 0.88 0.43
C 0.627 -1.284 -0.189 1.39 0.23 1.16 -0.29
H 1.148 -1.805 -1.019 -1.26 0.30 -0.01 0.30
H -0.404 -0.845 -0.288 0.54 -1.98 -0.72 0.03
H -1.411 1.712 -0.967 0.44 0.53 -0.33 0.27
H 1.786 -0.317 2.132 -0.16 -0.73 0.24 0.30
H 2.696 1.116 1.403 -0.35 -0.94 -0.29 0.28
```
Forces are in eV/Å.

Values from the calculation:
LUMO energy ... -3.71 eV
Gap between HOMO and LUMO ... 3.75 eV
Maximum force ... 3.03 eV/Å
Relative energy (zero: lowest compared OMol25 entry of this formula, charge and spin) ... 191.92 kcal per mole
Spin multiplicity ... 1

3.
Here is a 2-piece molecular cluster, C4H9NO overall from the OMol25 dataset. Energies are from ωB97M-V with the def2-TZVPD basis set.

Structure (XYZ):
```
15
Properties=species:S:1:pos:R:3:forces:R:3:mulliken_charge:R:1
C 5.517 0.054 3.143 -1.78 0.21 -0.08 -0.61
H 3.456 -0.632 2.932 -0.07 0.55 -0.09 0.31
H 6.502 -0.214 2.803 0.21 0.37 0.10 0.25
H -4.220 0.457 -3.807 -0.14 0.20 -0.51 0.30
H -4.588 -1.154 -1.663 -0.30 0.24 -0.57 0.25
C 4.485 -0.589 2.597 1.43 -1.46 0.16 0.01
C -4.935 -0.146 -1.371 0.55 -0.73 0.69 -0.24
C -3.866 1.178 -3.078 0.70 -0.76 0.44 -0.69
H -3.960 2.218 -3.378 -0.51 -0.10 -0.16 0.25
H -5.578 -0.126 -0.487 0.17 -0.05 -0.02 0.25

Scholar: Taxpayers Should Feel 'Cheated' by the $160B Bailout

ABC NEWS Business Unit

March 2, 2009—

How much will each American family pay, on average, to bail out beleaguered insurance giant American International Group? Try more than $1,400.

The government's newly overhauled rescue package for AIG is $162.5 billion, according to government officials. Divide that by 111,609,629 -- the total number of U.S. households, according to the U.S. Census' 2005-2007 American Community Survey -- and the result is $1,455.97. That's nearly double the maximum tax benefit U.S. couples will receive under the federal stimulus package approved last month.

Should the government keep giving money to companies like AIG? Vote here.

"I think the average American taxpayer should feel like they were cheated by AIG's managers and by the people who engineered this bailout scheme in the first place," said Eli Lehrer, a senior fellow at the Competitive Enterprise Institute, a libertarian Washington, D.C., think tank.

Taxpayers won't, of course, get an actual bill for AIG, but experts said the spending will, as with other government spending, result in consequences down the road such as a greater deficit and higher interest payments. That, Lehrer said, could lead to tax hikes beyond those planned by the Obama administration.

The amount the government is investing in AIG, which reported a record-breaking $61 billion quarterly loss today, dwarfs its investments in other U.S. financial institutions. Of the banks receiving U.S. aid, Citigroup and Bank of America garnered the most -- $50 billion and $45 billion, respectively -- from the federal Troubled Assets Relief Program. The government's investment in AIG includes both TARP funds as well as a credit line from the Federal Reserve.

-- Next to the article, the page also holds records of molecules --
┌──
Here is C32H25BF4N4O5Se2Ti as an isolated structure from the OMol25 dataset. Energies are from ωB97M-V/def2-TZVPD.

Computed properties:
HOMO-LUMO gap	7.1	eV
electronic energy	-7906.68321	Eh
relative energy (zero: lowest compared OMol25 entry of this formula, charge and spin)	1.106	eV
F_max	0.425	eV/Å

```
74
Properties=species:S:1:pos:R:3:mulliken_charge:R:1
Ti -0.400 0.532 0.358 -0.355
C -3.318 -1.842 4.597 -1.068
O -2.300 -1.405 3.715 -0.159
C -1.604 -2.350 3.052 0.691
C -1.680 -3.712 3.270 -0.603
C -0.908 -4.598 2.511 -1.040
C -0.045 -4.130 1.550 -0.911
C 0.036 -2.752 1.295 0.254
C 1.095 -2.204 0.478 -0.535
N 1.075 -0.986 0.091 1.526
N 2.294 -0.408 -0.241 -0.556
C 2.285 0.804 0.210 0.501
O 1.236 1.314 0.856 -0.346
C 3.462 1.681 0.069 0.342
C 4.665 1.166 -0.413 -0.312
C 5.761 1.998 -0.555 -0.796
C 5.662 3.344 -0.223 -0.407
C 4.463 3.858 0.247 -0.847
C 3.361 3.030 0.394 -0.348
C -0.756 -1.860 2.034 0.971
O -0.733 -0.553 1.814 -0.059
H -2.895 -2.318 5.485 0.366
H -3.999 -2.537 4.100 0.450
H -3.860 -0.948 4.890 0.227
H -2.337 -4.103 4.035 0.478
H -0.984 -5.660 2.703 0.393
H 0.579 -4.811 0.986 0.469
H 2.006 -2.780 0.325 0.399
H 4.725 0.118 -0.673 0.583
H 6.697 1.599 -0.926 0.415
H 6.522 3.992 -0.334 0.391
H 4.380 4.909 0.492 0.414
H 2.413 3.424 0.732 0.340
Se -1.326 -0.491 -3.678 0.013
Se 0.103 -2.224 -3.111 -0.074
C 1.798 -1.302 -3.287 0.397
C 2.944 -2.090 -3.342 -0.717
C 4.162 -1.437 -3.427 -0.375
C 4.185 -0.049 -3.479 -0.620
C 2.977 0.628 -3.445 -0.413
N 1.804 0.007 -3.343 0.048
C -2.480 -0.485 -2.127 0.313
C -3.812 -0.200 -2.411 -0.943
C -4.763 -0.396 -1.434 -0.515
C -4.366 -0.941 -0.224 -0.908
C -3.023 -1.142 -0.006 0.181
N -2.062 -0.861 -0.910 0.266
H 2.883 -3.171 -3.324 0.408
H 5.082 -2.007 -3.469 0.394
H 5.115 0.498 -3.553 0.474
H 2.934 1.711 -3.494 0.420
H -4.083 0.137 -3.402 0.412
H -5.802 -0.163 -1.627 0.420
H -5.075 -1.163 0.561 0.459
H -2.692 -1.523 0.943 0.220
F 0.005 1.087 -1.459 -0.030
B -0.192 2.632 -1.994 0.221
F -1.493 2.645 -2.399 -0.310
F 0.741 2.747 -2.971 -0.230
F 0.070 3.360 -0.862 -0.343
O -3.913 1.630 1.413 -0.614
C -2.752 1.818 1.663 -0.003
O -1.797 1.653 0.732 0.268
C -2.253 2.242 3.005 0.478
C -0.932 2.608 3.231 0.109
C -0.527 2.977 4.506 -0.897
C -1.437 2.982 5.552 -0.370
C -2.762 2.628 5.325 -0.620
C -3.169 2.264 4.053 -0.689
H -0.218 2.627 2.422 0.515
H 0.503 3.263 4.679 0.440
H -1.118 3.270 6.545 0.403
H -3.474 2.642 6.139 0.414
H -4.196 1.991 3.848 0.530
```

----------

Molecular formula: C4H10
Method: DFT, the ωB97M-V functional and the def2-TZVPD basis

Last column: Mulliken charge in e.
Cartesian coordinates (Å):
H -1.573 0.830 -1.522  0.32
C 1.821 -0.386 0.545  -1.21
H -0.816 -0.110 1.273  0.30
H 1.607 -0.850 1.521  0.30
H -0.264 1.363 0.559  0.32
H 0.790 0.050 -1.309  0.30
C -1.826 0.401 -0.563  -1.23
C -0.587 0.349 0.305  -0.38
H -2.558 1.052 -0.110  0.36
└──

In terms of sheer size, the AIG bailout may be more comparable to another bailout of sorts -- the Marshall Plan, the U.S.-funded program that helped rebuild Western European countries following the devastation of World War II. When adjusted for inflation, according to Jim Bianco of Chicago-based Bianco Research, the United States spent $115.3 billion, about $47 billion less than the price tag of the AIG rescue.

• Here the piece breaks off for quantum chemistry results:
A structure of composition C48H54BaFN5O5S3Si2 at a distorted geometry, computed with ωB97M-V/def2-TZVPD.

XYZ file:
```
119
Properties=species:S:1:pos:R:3:forces:R:3
H -1.912 -6.109 -1.199 -0.0403 -0.1182 -0.1157
C 0.744 4.586 2.165 0.1613 0.0008 -0.0887
N -0.767 -1.304 2.440 -0.3449 1.0402 0.9167
C 2.689 -6.440 -3.739 -0.0162 -0.0940 -0.0576
O -0.834 -0.308 -4.813 0.1631 0.0450 -0.6476
C -0.142 -3.410 3.161 0.2342 0.1448 0.3086
H -7.655 3.259 -2.818 0.0092 0.0047 -0.0135
C 2.093 -4.468 -2.414 -0.3504 -0.0538 0.0406
S 1.508 -3.176 3.533 -0.2876 -0.3695 -0.1104
C -4.698 1.712 -2.369 -0.3512 0.2107 0.0522
H 4.709 -4.407 -0.891 0.0809 -0.1119 -0.1449
H 3.452 -7.036 -4.230 0.0445 -0.0280 -0.0283
H 5.267 -1.743 4.588 0.0638 -0.0792 -0.0598
H -2.706 1.166 -4.982 -0.0271 -0.0186 -0.0248
C 2.535 0.266 4.456 0.2553 -0.0100 0.3476
Si 2.706 -2.855 -1.488 0.4020 -0.1850 -0.1119
C 3.876 -2.098 -2.861 -0.1649 -0.0705 0.0758
H -0.625 -6.365 -3.176 -0.1430 -0.0463 -0.0140
H 4.602 -2.796 -3.288 0.1118 -0.1400 -0.0184
H -4.654 4.405 -5.704 -0.0339 0.0209 -0.0476
C 4.129 1.933 1.603 -0.1342 0.0858 -0.1232
H 5.730 -1.140 2.048 0.1011 -0.0043 0.0107
H -2.152 4.060 0.039 -0.0226 0.0646 -0.0236
H -2.387 -4.885 -0.016 -0.1127 0.0394 0.0688
O 1.957 1.454 -0.531 -0.1048 0.4779 -0.1416
S 3.430 -1.219 2.373 -1.0182 -0.3338 -0.3267
H 4.073 -4.990 -3.044 0.1597 0.0291 -0.0078
C 2.053 6.244 0.990 -0.0012 -0.2139 -0.0724
C -5.853 2.450 -2.007 0.3348 -0.2210 -0.2929
H -2.716 -0.316 4.602 -0.0363 -0.0142 -0.0262
H -2.237 -4.755 -3.499 -0.0242 -0.1555 -0.0160
C -1.198 -0.213 3.052 0.2346 -0.5912 -0.8388
H 5.323 1.071 3.178 -0.0078 -0.0250 -0.1006
N -0.667 -4.688 3.148 0.1390 -0.1198 -0.1202
C -1.193 2.152 0.264 -0.2913 0.0831 0.0606
H 1.790 1.432 6.090 -0.0222 0.0227 0.0449
H 1.755 0.521 3.755 -0.1283 0.0372 -0.0930
C -5.587 1.648 0.246 -0.0238 0.0457 -0.0997
C -1.631 -0.221 4.480 -0.1102 -0.0496 0.2463
H -6.812 1.619 -4.453 -0.0069 0.0077 -0.0099
C -6.278 2.401 -0.703 -0.0664 -0.0159 0.4150
H 3.170 1.427 1.715 -0.0349 0.0929 0.0072
H 3.276 -1.700 -3.680 -0.0760 0.0870 -0.1080
H -1.175 -1.072 4.981 0.0311 -0.0312 -0.0024
C 2.554 5.252 0.156 -0.0759 0.1289 0.2622
C -2.298 0.361 -3.098 -0.2737 0.2335 0.0352
C -6.590 3.235 -3.059 -0.0624 0.0863 0.1483
Si -0.708 -3.848 -1.609 -0.1454 -0.3605 -0.0811
H -1.320 0.698 4.987 0.0043 -0.0207 0.0010
S 2.797 2.665 -0.742 -0.5662 -0.3382 -0.0737
C -1.544 -5.282 -0.585 0.1491 0.0662 0.0126
H 4.814 -2.853 -0.076 0.0988 0.1233 0.0600
H 0.919 2.562 1.422 0.1707 -0.0799 0.0743
H 4.432 -1.262 -2.428 0.0667 0.1069 0.0543
H 4.670 1.441 -0.452 0.1166 -0.0036 0.0659
C 2.161 3.937 0.359 0.0411 -0.1258 -0.1543
C 2.565 0.753 5.759 -0.0678 -0.0204 -0.2382
H 0.025 4.327 2.929 -0.0177 0.0150 0.0419
C -6.363 2.615 -4.427 -0.0495 -0.0035 -0.0984
H 4.997 3.132 -0.015 0.0693 0.0069 -0.0591
H 4.786 -0.626 0.665 0.0762 0.0259 -0.0512
C 1.245 3.588 1.336 0.1799 0.2798 0.0948
O 2.299 -0.454 1.756 0.2110 -0.1478 0.0796
C 1.153 5.902 1.994 -0.0280 0.0613 0.0232

Taxpayers Bailing Out AIG

Dean Baker, the co-director of the Economic Policy and Research Institute, said the money being used to prop up the firm is, in effect, bailing out its creditors, investors that include pension funds and banks.

"There's a logic to it, and we probably want to do much of what they're doing," he said.

Beyond its traditional insurance businesses, AIG offered "credit default swaps" in recent years, which are essentially insurance policies on investments. Investors took out these insurance policies to protect themselves in case their investments, such as mortgage-backed securities, went awry. Often investors acted as speculators, buying credit default swaps even when they didn't have investments to insure, thereby betting on other people's investments.

With so many mortgage-backed securities defaulting and the housing market crashing, AIG is now on the hook to make good on its credit default swaps. If AIG didn't meet its obligations, Baker said, it could have dire consequences for banks and pension funds.

AIG will attempt to meet these obligations with the help of the government's aid.

Baker said the government hasn't done enough to explain, however, how it will pay AIG's creditors. He said he believes the government should distinguish between speculators and those who were trying truly to insure their investments. The former, he said, should receive less of a payout. But it's unclear whether the government is doing that or something else.

"It's a massive expenditure of taxpayer dollars," he said, "with no accountability."

With reporting from ABC News' Daniel Arnall.